Fall ’22 Seminar Series
Integrated Toxicology & Environmental Health Fall 2022 Seminar Series
Want to learn more about intersections between ecotoxicology and identity? Check out the following seminars:
Nov 11: Partnering for Action: Cultivating Science and Justice
- Defined broadly, participatory approaches to research can challenge and change inequity and mistrust in science, particularly when the effort reflects the diversity of publics and does not reinforce existing inequities in science, environmental decision-making, and society. These efforts are transforming investigations, for example, through the development of new monitoring tools, co-production of data, and sharing of results.
Oct 21: The Intersection of Global Environmental Health and Climate Change
- While climate change may be the existential challenge the world faces, we also must deal with overwhelming additional environmental challenges to global health. Health disparities, water and soil pollution, microbial threats all challenge our knowledge as well s our future. What are some of the key research needs facing us at this time? And how can we address them?
Oct 7: Environmental Health Research: Current Trends and Future Directions
- This seminar will discuss recent research on the links between environment and human health with a focus on research challenges and future directions. Topics include heat waves, green infrastructure, climate change, and environmental justice.
Sep 16: Understanding Occupational Exposure to Known Carcinogens: A Program of Research in Progress
- In this seminar, Dr. Walton will discuss her work to date to understand and improve the pesticide protective behaviors of Latino migrant and seasonal farmworkers. She will also discuss her research and policy work to measure and modify occupational exposure to antineoplastic drugs for healthcare workers, including nursing assistants and environmental services workers who have less education, training, and social capital in the workplace than nurses and pharmacists whose exposures are more commonly considered.
Other Events
It’s Not Just an Urban Issue: Challenges of Environmental Justice for Rural North Carolina Date: Friday, September 9
## Records of crystals, as found in the file
┌──
# 1
DFT (GGA-PBEsol) results for crystalline TaPHCl2 at its relaxed geometry.

a b c (Å): 4.7987 4.8024 4.8024
angles (deg): 90.00 90.00 90.00
Last column: nearest neighbours and their distance in Å.
Atoms (fractional coordinates):
Cl  0.0000  0.0000  0.5000  2 Ta 2.40
Cl  0.0000  0.5000  0.0000  2 Ta 2.40
H  0.5000  0.5000  0.5000  8 Cl 3.39, 4 P 3.40
Ta  0.0000  0.0000  0.0000  2 P 2.40, 4 Cl 2.40
P  0.5000  0.0000  0.0000  2 Ta 2.40

electronic total energy	-4.965	eV per atom
space-group type	No. 123

# 2
DFT (GGA-PBEsol) results for crystalline MgBeIn at its relaxed geometry.

a b c (Å): 3.1224 3.9730 5.0217
angles (deg): 113.30 108.11 90.00
Last column: nearest neighbours and their distance in Å.
Atoms (fractional coordinates):
Mg  0.3366  0.3366  0.6731  5 In 2.77-2.97, 5 Be 2.86-2.93
Be  0.0074  0.0074  0.0148  5 In 2.84-3.05, 5 Mg 2.86-2.93, 2 Be 3.12
In  0.6560  0.6560  0.3121  5 Mg 2.77-2.97, 5 Be 2.84-3.05

electronic total energy	-2.576	eV per atom
relative energy among the computed polymorphs	0.000	eV per atom
space-group type	No. 44
ΔH_f (0 K)	7.5	kcal/mol of atoms

# 3
DFT (GGA-PBEsol) results for crystalline TlAg at its relaxed geometry.

a b c (Å): 3.1447 3.7048 7.5928
angles (deg): 90.00 90.00 90.00
Last column: nearest neighbours and their distance in Å.
Atoms (fractional coordinates):
Ag  0.5000  0.5000  0.4078  4 Ag 2.80, 4 Tl 3.05
Ag  0.0000  0.0000  0.5922  4 Ag 2.80, 4 Tl 3.05
Tl  0.0000  0.0000  0.1648  5 Ag 3.05-3.25, 2 Tl 3.14
Tl  0.5000  0.5000  0.8352  5 Ag 3.05-3.25, 2 Tl 3.14

electronic total energy	-2.873	eV per atom
space-group type	No. 59
ΔH_f (0 K)	2.2	kcal/mol of atoms

# 4
DFT (GGA-PBEsol) results for crystalline YZn2Os at its relaxed geometry.

a b c (Å): 4.5222 4.5222 4.5222
angles (deg): 60.00 60.00 60.00
Last column: nearest neighbours and their distance in Å.
Atoms (fractional coordinates):
Y  0.5000  0.5000  0.5000  8 Zn 2.77
Zn  0.2500  0.2500  0.2500  4 Os 2.77, 4 Y 2.77
Zn  0.7500  0.7500  0.7500  4 Os 2.77, 4 Y 2.77
Os  0.0000  0.0000  0.0000  8 Zn 2.77

electronic total energy	-5.581	eV per atom
relative energy among the computed polymorphs	0.000	eV per atom
space-group type	No. 225
ΔH_f (0 K)	-0.7	kcal/mol of atoms

# 5
DFT (GGA-PBEsol) results for crystalline CuTe2 at its relaxed geometry.

a b c (Å): 5.6384 5.6384 5.6384
angles (deg): 79.10 66.08 113.92
Last column: nearest neighbours and their distance in Å.
Atoms (fractional coordinates):
Cu  0.0000  0.7500  0.2500  8 Te 2.91
Cu  0.0000  0.2500  0.7500  8 Te 2.91
Te  0.5000  0.3326  0.8326  4 Cu 2.91, 5 Te 2.91-3.24
Te  0.1652  0.8326  0.6674  4 Cu 2.91, 5 Te 2.91-3.24
Te  0.5000  0.6674  0.1674  4 Cu 2.91, 5 Te 2.91-3.24
Te  0.8348  0.1674  0.3326  4 Cu 2.91, 5 Te 2.91-3.24

electronic total energy	-3.568	eV per atom
raw formation energy	0.227	eV/atom
space-group type	No. 140

# 6
DFT (GGA-PBEsol) results for crystalline Sb2HIrPb at its relaxed geometry.

a b c (Å): 4.9879 4.9879 5.6710
angles (deg): 90.00 90.00 90.00
└──
From Durham: 8:00am-6:30pm
From Beaufort: 7:00am-7:30pm
Inserted here: records of crystals.
____________
The following is a DFT calculation (PBE) of a relaxed SrY3Mo crystal.

a = 5.548 Å, b = 5.548 Å, c = 5.548 Å
α = 90.00°, β = 90.00°, γ = 90.00°
Fractional positions:
Y (0.500, 0.000, 0.000)
Y (0.000, 0.000, 0.500)
Y (0.000, 0.500, 0.000)
Mo (0.000, 0.000, 0.000)
Sr (0.500, 0.500, 0.500)

- Uncorrected energy: -30.42 eV/f.u.
- Total moment: 0.00 μB/f.u.
- Symmetry: No. 221
- Offset from the most stable computed form: 0.000 eV per atom
- DOS(E_F): 5.65 states/eV/cell

The following is a DFT calculation (PBE) of a relaxed SrY2Mo crystal.

a = 3.863 Å, b = 3.863 Å, c = 8.328 Å
α = 90.00°, β = 90.00°, γ = 90.00°
Fractional positions:
Sr (0.500, 0.500, 0.704)
Y (0.000, 0.000, 0.063)
Y (0.500, 0.500, 0.303)
Mo (0.000, 0.000, 0.430)

- Uncorrected energy: -23.51 eV/f.u.
- Total moment: 0.00 μB/f.u.
- Symmetry: No. 99
- Offset from the most stable computed form: 0.175 eV per atom
- DOS(E_F): 4.73 states/eV/cell

The following is a DFT calculation (PBE) of a relaxed SrY2Mo crystal.

a = 8.014 Å, b = 8.014 Å, c = 8.098 Å
α = 60.34°, β = 60.34°, γ = 90.00°
Fractional positions:
Sr (0.500, 0.500, 0.000)
Sr (0.250, 0.750, 0.500)
Y (0.375, 0.125, 0.750)
Y (0.875, 0.125, 0.250)
Y (0.875, 0.125, 0.750)
Y (0.875, 0.625, 0.250)
Mo (0.000, 0.000, 0.000)
Mo (0.750, 0.250, 0.500)

- Uncorrected energy: -21.50 eV/f.u.
- Total moment: 0.00 μB/f.u.
- Symmetry: No. 141
- Offset from the most stable computed form: 0.675 eV per atom
- DOS(E_F): 6.79 states/eV/cell

The following is a DFT calculation (PBE) of a relaxed SrY3Mo crystal.

a = 5.341 Å, b = 5.341 Å, c = 5.341 Å
α = 90.00°, β = 90.00°, γ = 90.00°
Fractional positions:
Mo (0.500, 0.500, 0.500)
Y (0.000, 0.000, 0.500)
Y (0.500, 0.000, 0.000)
Y (0.000, 0.500, 0.000)
Sr (0.000, 0.000, 0.000)

- Uncorrected energy: -22.09 eV/f.u.
- Total moment: 0.00 μB/f.u.
- Symmetry: No. 221
- Offset from the most stable computed form: 1.666 eV per atom
- DOS(E_F): 9.41 states/eV/cell

~~~~~

1.
Material: Li2Mg8Zn
Method: DFT, PBE
State: optimized geometry

Cell: 7.4816 7.4816 7.6647 Å, 120.19 120.19 39.26°
Last column: nearest neighbours and their distance in Å.
Fractional coordinates of all 11 atoms:
Li 0.2277 0.2277 0.1353  8 Mg 2.91-3.03
Li 0.7723 0.7723 0.8647  8 Mg 2.91-3.03
Mg 0.0505 0.0505 0.2244  1 Li 2.92, 7 Mg 2.94-3.06
Mg 0.1338 0.1338 0.6832  3 Li 2.98-3.03, 2 Zn 3.00, 5 Mg 3.04-3.33
Mg 0.3224 0.3224 0.5776  1 Zn 2.86, 1 Li 2.91, 6 Mg 2.99-3.17
Mg 0.4058 0.4058 0.0507  3 Li 2.91-3.00, 1 Zn 2.96, 4 Mg 3.06-3.16
Mg 0.5942 0.5942 0.9493  3 Li 2.91-3.00, 1 Zn 2.96, 4 Mg 3.06-3.16
Mg 0.6776 0.6776 0.4224  1 Zn 2.86, 1 Li 2.91, 6 Mg 2.99-3.17
Mg 0.8662 0.8662 0.3168  3 Li 2.98-3.03, 2 Zn 3.00, 5 Mg 3.04-3.33
Mg 0.9495 0.9495 0.7756  1 Li 2.92, 7 Mg 2.94-3.06
Zn 0.5000 0.5000 0.5000  8 Mg 2.86-3.00

## Properties
ΔE_f	-34	meV per atom
theoretical density	1980	kg/m³
space group	C2/m (12)
energy above the lowest structure with this stoichiometry	11	meV/atom
DOS at the Fermi energy	3.3	states/eV/cell


2.
Material: Li2MgZn2
____________
End of the records of crystals.
Nicholas School of the Environment faculty and staff attended this all-day field trip to visit Sampson County, NC. Led by Sherri White-Williamson, Instructor at the Nicholas School, Director for Environmental Justice Policy at The North Carolina Conservation Network and Director of the Environmental Justice Community Action Network (EJCAN). The trip provided opportunities to meet with and learn from community leaders in Sampson County about the root causes and direct impacts of the environmental injustices their community has experienced and the strategies they are employing to combat them. Attendees also visited a number of sites within Sampson County to view and discuss the direct manifestation of environmental injustice on the landscape.
Part of the Building in Justice at the School of the Environment initiative was funded through a generous grant from Duke Faculty Advancement
Other Events
- Global Week – September 19th to 22nd
- NSOE International Mixer – August 26, 2022